Criminalisation of environmental harm Moving forward while looking back?

<<<
The following is a DFT calculation (PBE) of a relaxed TbY2CdO crystal.

- calculated total energy (eV/atom) = -6.017
- DOS at the Fermi energy (states/eV/cell) = 2.37

Cell and atoms, written as POSCAR:
```
TbY2CdO
1.0
4.808 0.000 0.000
0.000 4.808 0.000
0.000 0.000 4.810
Tb Y Cd O
1 2 1 1
direct
0.000 0.000 0.000
0.000 0.500 0.500
0.500 0.000 0.500
0.500 0.500 0.000
0.000 0.000 0.500
```


The following is a DFT calculation (PBE) of a relaxed CdTcO6 crystal.

- calculated total energy (eV/atom) = -5.561
- DOS at the Fermi energy (states/eV/cell) = 1.52

Cell and atoms, written as POSCAR:
```
CdTcO6
1.0
0.000 4.161 4.161
4.161 0.000 4.161
4.161 4.161 0.000
Cd Tc O
1 1 6
direct
0.000 0.000 0.000
0.500 0.500 0.500
0.276 0.276 0.724
0.276 0.724 0.276
0.276 0.724 0.724
0.724 0.276 0.276
0.724 0.276 0.724
0.724 0.724 0.276
```


The following is a DFT calculation (PBE) of a relaxed CdTc2O6 crystal.

- offset from the most stable computed form (eV per formula unit) = 0.00
- DOS at the Fermi energy (states/eV/cell) = 2.15

Cell and atoms, written as POSCAR:
```
CdTc2O6
1.0
4.877 -1.976 0.000
4.877 1.976 0.000
-3.063 0.000 6.208
Cd Tc O
1 2 6
direct
0.000 0.000 0.000
0.183 0.183 0.615
0.817 0.817 0.385
0.010 0.010 0.677
0.290 0.290 0.426
0.339 0.339 0.883
0.661 0.661 0.117
0.710 0.710 0.574
0.990 0.990 0.323
```

* * * * *

Entry from the Open Quantum Materials Database: a relaxed structure of NbAsNO (GGA-PBE).

- excess energy over the best structure of this formula in the dataset (eV/atom) = 0.130

a = 3.1442 Å, b = 6.5027 Å, c = 6.5269 Å
α = 90.00°, β = 90.00°, γ = 90.00°
Atoms (fractional coordinates):
As1 0.5000 0.0050 0.2584
As2 0.5000 0.5050 0.7416
N1 0.0000 0.8122 0.3552
N2 0.0000 0.3122 0.6448
Nb1 0.0000 0.4983 0.3849
Nb2 0.0000 0.9983 0.6151
O1 0.5000 0.4384 0.2216
O2 0.5000 0.9384 0.7784

* * * * *

## SnW2F (PBE+U)

Data for a relaxed structure of SnW2F. Values from VASP.

```
&SYSTEM
  ibrav = 0, nat = 16, ntyp = 3
/
ATOMIC_SPECIES
Sn 118.71 Sn.upf
W 183.84 W.upf
F 19.00 F.upf
ATOMIC_POSITIONS crystal
Sn 0.000 0.000 0.000
Sn 0.000 0.500 0.500
Sn 0.500 0.000 0.500
Sn 0.500 0.500 0.000
W 0.250 0.250 0.250
W 0.250 0.250 0.750
W 0.250 0.750 0.250
W 0.250 0.750 0.750
W 0.750 0.250 0.250
W 0.750 0.250 0.750
W 0.750 0.750 0.250
W 0.750 0.750 0.750
F 0.000 0.000 0.500
F 0.000 0.500 0.000
F 0.500 0.000 0.000
F 0.500 0.500 0.500
CELL_PARAMETERS angstrom
6.466 0.000 0.000
0.000 6.466 0.000
0.000 0.000 6.466
```

## Properties
Its magnetic moment is 1.08 μB/f.u. As for the calculated total energy: -4.047 eV/atom. The energy above the most stable polymorph in this dataset is 237 meV/atom.
>>>

The joint report produced by the United Nations Environment Programme (UNEP) and INTERPOL in 2016 paints a rather grim picture of the extent of environmental crime worldwide. It identifies it as the fourth largest criminal enterprise globally, right behind drug smuggling, counterfeiting, and human trafficking. Two questions are worth pondering here: to quote George Monbiot, how did we get into this mess and what can we do about it?


Article by

Katerina Gladkova

In comparison to more conventional types of crime, the recognition of environmental crime is relatively new. The first instance of criminal enforcement of environmental regulations dates back to 1899 - the Refuse Act criminalised the release of refuse into navigable waters. Yet it was not until the early 1970s that the issue of harm inflicted on natural ecosystems was revisited. This monumental shift was in part due to a newly emerging environmental sensitivity. It prompted fundamental reconsideration of our relationship with nature and human mishandling of the environment started being perceived in an unfavourable light. Popularisation of environmental law also mirrored the emergence of new risks that are an inevitable part of modern technological development. The impact of man-made rather than natural risks on both humans and the environment deserved a reflection in legal books. As a result, the phenomenon of environmental crime covered violations and flouting of environmental laws that inflict severe damage on the environment, humans, or both.

Inserted here: materials data:
'''
[1]
CsZrTeAuSe2: relaxed, GGA-PBE.

abc: 8.757 8.757 10.842
angles: 90.00 90.00 153.40
Element x y z (fractional)
Se: 0.608 0.392 0.041
Se: 0.392 0.608 0.959
Te: 0.076 0.924 0.750
Cs: 0.769 0.231 0.750
Zr: 0.000 0.000 0.500
Au: 0.536 0.464 0.250
Se: 0.392 0.608 0.541
Au: 0.464 0.536 0.750
Se: 0.608 0.392 0.459
Te: 0.924 0.076 0.250
Cs: 0.231 0.769 0.250
Zr: 0.000 0.000 0.000

VASP energy: -4.74 eV per atom
ρ: 6.30 g/cm3



[2]
Re2Pt: relaxed, GGA-PBE.

abc: 5.136 5.136 5.136
angles: 60.00 60.00 60.00
Element x y z (fractional)
Pt: 0.000 0.000 0.000
Re: 0.625 0.625 0.625
Re: 0.625 0.125 0.625
Re: 0.625 0.625 0.125
Re: 0.125 0.625 0.625
Pt: 0.250 0.250 0.250

formation energy from the elements: 0.46 eV/atom
VASP energy: -9.84 eV per atom
ρ: 19.67 g/cm3



[3]
AlAg2IrS4: relaxed, GGA-PBE.

abc: 6.864 6.864 6.864
angles: 132.58 132.58 69.31
Element x y z (fractional)
Al: 0.000 0.000 0.000
S: 0.870 0.913 0.536
S: 0.087 0.623 0.958
S: 0.665 0.130 0.042
S: 0.377 0.335 0.464
Ag: 0.500 0.500 0.000
Ag: 0.250 0.750 0.500
Ir: 0.750 0.250 0.500

VASP energy: -4.57 eV per atom
ρ: 5.44 g/cm3



[4]
LiGa2Mo: relaxed, GGA-PBE.

abc: 4.378 4.378 4.378
angles: 60.00 60.00 60.00
Element x y z (fractional)
Li: 0.000 0.000 0.000
Mo: 0.250 0.250 0.250
Ga: 0.500 0.500 0.500
Ga: 0.750 0.750 0.750

VASP energy: -4.41 eV per atom
ρ: 6.78 g/cm3



[5]
LiTeOsAuSe2: relaxed, GGA-PBE.

abc: 7.697 7.697 10.504
angles: 90.00 90.00 155.75
Element x y z (fractional)
Te: 0.950 0.050 0.750
Se: 0.371 0.629 0.483
Se: 0.629 0.371 0.983
Se: 0.371 0.629 0.017
Os: 0.000 0.000 0.000
Te: 0.050 0.950 0.250
Au: 0.651 0.349 0.750
Se: 0.629 0.371 0.517
Li: 0.292 0.708 0.750
Li: 0.708 0.292 0.250
Au: 0.349 0.651 0.250
Os: 0.000 0.000 0.500

VASP energy: -4.57 eV per atom
ρ: 8.83 g/cm3



[6]
NbTcMo: relaxed, GGA-PBE.

abc: 4.312 4.312 4.312
angles: 60.00 60.00 60.00
Element x y z (fractional)
Tc: 0.250 0.250 0.250
Mo: 0.000 0.000 0.000
Nb: 0.500 0.500 0.500

formation energy from the elements: 0.56 eV/atom
VASP energy: -9.88 eV per atom
ρ: 8.40 g/cm3

=====

# 1
First-principles (PBE) data for an optimized crystal structure of Mn2TcMo, as listed in the Alexandria database.

DOS(E_F) in states/eV per cell: 9.677
E_form in eV per atom: 0.12
Offset from the most stable computed form in eV per atom: 0.0274

Geometry as CIF:
```
data_Mn2TcMo
_chemical_formula_sum 'Mn4 Tc2 Mo2'
_cell_length_a 3.0658
_cell_length_b 4.2062
_cell_length_c 8.4391
_cell_angle_alpha 90.00
_cell_angle_beta 90.00
_cell_angle_gamma 90.00
_symmetry_space_group_name_H-M 'I m m 2'
_symmetry_Int_Tables_number 44
loop_
_symmetry_equiv_pos_as_xyz
'x,y,z'
'-x,-y,z'
'-x,y,z'
'x,-y,z'
'x+1/2,y+1/2,z+1/2'
'-x+1/2,-y+1/2,z+1/2'
'-x+1/2,y+1/2,z+1/2'
'x+1/2,-y+1/2,z+1/2'
loop_
_atom_site_label
_atom_site_fract_x
_atom_site_fract_y
_atom_site_fract_z
Mn1 0.0000 0.0000 0.0000
Mn2 0.0000 0.5000 0.2519
Tc1 0.0000 0.0000 0.5013
Mo1 0.0000 0.5000 0.7501
```

=====

# 2
'''

There are countless instances of environmental crime that fall into several broad categories. A report released by Environmental Investigation Agency lists 5 types of environmental crime, also recognised by the G8, Interpol, EU, UN Environment programme and the UN Interregional Crime and Justice Research Institute. These are:

  • illegal trade in wildlife (regulated by the 1973 Washington Convention on International Trade in Endangered Species of fauna and Flora);
  • illegal trade in ozone-depleting substances (regulated by the 1987 Montreal Protocol on Substances that Deplete the Ozone Layer);
  • dumping and illegal transportation of hazardous waste (regulated by the 1989 Basel Convention on the Control of Transboundary Movement of Hazardous Wastes and Other Wastes and their Disposal);
  • illegal, unregulated and unreported fishing (regulated by controls imposed by various regional fisheries management organisations);
  • illegal logging and trade in timber (there are currently no binding international controls on the international timber trade).

Although the breadth of the scope of environmental crimes gives cause for hope, it still does not capture all types of environmentally and socially damaging practices.

What about instances of corporate colonisation of nature—genetic changes in food crops, use of plantation forestry that diminishes biodiversity, and preference for large-scale, industry-heavy, high-yield agricultural and aquaculture methods? They exemplify degradation of land and oceans that affect the wellbeing of species and their natural environments. What about so-called ‘ordinary harms’ performed by individuals including car use, excessive purchases of consumer products and meat-based diets? Such acts are trivialised and even encouraged, and although unintentionally, individuals do contribute to the crisis of climate change and increased levels of air and water pollution.

Moreover, criminalisation of environmental offences singles out particular acts, hiding their contextual backgrounds. It turns a blind eye to social, political, and economic structures that shaped conditions for environmental criminality in the first place. Audre Lorde once observed that ‘the master’s tools will never dismantle the master’s house’. The legal frameworks designed by powerful capitalist states is skewed in favour of those same states and provides no incentive to address environmental harms perpetrated by them. Economic interests will be inevitably prioritised over environmental interests.

Here the page breaks off for data records >
~~~
NiPCl3: optimized geometry, GGA-PBE.

Cell lengths 4.5791, 4.5791, 4.5791 Å; angles 90.00, 90.00, 90.00 degrees
Last column: nearest neighbours and their distance in Å.
Positions (direct):
Ni  0.0000  0.0000  0.0000  6 Cl 2.29
P  0.5000  0.5000  0.5000  12 Cl 3.24
Cl  0.0000  0.0000  0.5000  2 Ni 2.29
Cl  0.0000  0.5000  0.0000  2 Ni 2.29
Cl  0.5000  0.0000  0.0000  2 Ni 2.29

## Properties
Crystal system   cubic
Magnetic moment   0.35 μB/f.u.
Final energy   -15.12 eV per cell
~~~

Finally, the existing legal framework is inherently anthropocentric. Its foundation in economics and natural sciences diminishes the intrinsic value of nature and perceives it as a resource at human disposal. Such a view reinforces the division of natural environments and humanity, positioning humans outside and above nature.

Limited scope of the existing legal environmental framework, its anthropocentric leanings, and socio-political forces behind it weaken the power of environmental law and drastically limit its reach. Environmental regulation through criminalisation becomes a goal in itself, rather than a vehicle for achieving a more balanced and sustainable relationship with nature.

However, it is only one way of conceptualising environmental crime. Recent combining of law and ecology led to the emergence of Earth Jurisprudence (or Wild Law) as a counterweight to traditional understandings of legality. Current legal systems fail to recognise nature’s rights to exist and flourish. The focus needs to shift from a rigid crime/punishment dichotomy to laws that respect relationship with nature. Proponents of Earth Jurisprudence argue that the architecture of law needs to be reconstructed to legal systems that prioritise ecology and are based on an Earth-centric perspective.

Earth Jurisprudence addresses the concerns associated with the current imbalance of legal power. It expands the scope of environmental harms to include previously ignored damages. Its main principles are eco-centric: it recognises humans as an integral part of nature with a duty to protect the long-term health of natural environments and reassess the human position in them. Finally, in contrast to the capitalist economy it values the ecological above the economic.

Since legal frameworks reflect dominant social norms, principles, and values, understanding and changing the value we assign to nature is the most crucial step for restructuring our response to environmental challenges. Some examples of moving towards Earth-centric legality involve fostering the connection with nature through education. Wild Law advocates envision that appreciating the value of natural environments from an early age will foster new forms of ecological intelligence that will help to gradually transform the entire legal system.